Why are their so few Justin Amashes among Republicans (politicians and voters)?

Because all the other Republican politicians are either cowards, racist, or racist cowards.

Trump’s base like him and think that he is doing a good job. The politicians would lose their jobs if they took on Trump.

At that point I would imagine that I no longer believe in democracy, or even a republic (for the pedantic).

I think it’s pretty clear that the GOP doesn’t value democracy. Their strategy to win elections includes overt attempts to suppress Democrats from voting. If someone is still in the GOP, he believes in Trumpism, not democracy.

I believe that if you ask the typical GOP member if they believe in democracy, they will answer with a resounding Yes. And they believe they are telling the truth in saying that.

It’s just that they think they are fighting for the soul of the country, and if that means setting democracy aside for a while, they will do so. Once the country is back on what they think is the right track, they will reinstitute democracy. For sure. No lie. 100%.

The idea that they may never determine that the country is on their right track is something that they ignore.

What comes next are data records, not part of the text >
'''
Compound: Sr2CdTcGe
Source: Alexandria
Functional: GGA-PBEsol
Structure: relaxed

Unit cell a=6.0194 b=6.0194 c=4.7314 alpha=90.00 beta=90.00 gamma=90.00
Closest atoms and distances in Å follow each position.
Element x y z (fractional)
Sr (0.0000, 0.5000, 0.0000)  2 Cd 3.01
Sr (0.5000, 0.0000, 0.0000)  2 Cd 3.01
Cd (0.0000, 0.0000, 0.0000)  2 Ge 2.37
Tc (0.5000, 0.5000, 0.5000)  8 Sr 3.83, 4 Ge 4.26
Ge (0.0000, 0.0000, 0.5000)  2 Cd 2.37

Output
Formation energy ... 1.097 eV per atom
Total energy ... -3.120 eV per atom
M_tot ... 3.6 μB/f.u.

=====

1.
The following is a PBE-GGA calculation of a relaxed Dy2PSe crystal, from the Open Quantum Materials Database.

Unit cell a=4.0236 b=5.6932 c=8.1632 alpha=90.00 beta=90.00 gamma=90.00
Fractional coordinates of all 8 atoms:
Dy 0.2500 0.2500 0.1108
Dy 0.2500 0.2500 0.6474
Dy 0.7500 0.7500 0.3526
Dy 0.7500 0.7500 0.8892
P 0.2500 0.7500 0.1245
P 0.7500 0.2500 0.8755
Se 0.2500 0.7500 0.6202
Se 0.7500 0.2500 0.3798


2.
The following is a PBE-GGA calculation of a relaxed TaCoAgAs crystal, from the Open Quantum Materials Database.

Output
Offset from the most stable computed form ... 0.000 eV/atom

Unit cell a=4.4321 b=4.4321 c=4.4321 alpha=60.00 beta=60.00 gamma=60.00
Fractional coordinates of all 4 atoms:
Ta 0.0000 0.0000 0.0000
Co 0.5000 0.5000 0.5000
Ag 0.7500 0.7500 0.7500
As 0.2500 0.2500 0.2500


3.
The following is a PBE-GGA calculation of a relaxed NaTaPb crystal, from the Open Quantum Materials Database.

Output
Offset from the most stable computed form ... 0.000 eV/atom

Unit cell a=4.8595 b=4.8595 c=4.8595 alpha=60.00 beta=60.00 gamma=60.00
Fractional coordinates of all 3 atoms:
Na 0.0000 0.0000 0.0000
Ta 0.2500 0.2500 0.2500
Pb 0.5000 0.5000 0.5000


4.
The following is a PBE-GGA calculation of a relaxed B2MoAu crystal, from the Open Quantum Materials Database.

Unit cell a=4.1568 b=4.1568 c=4.1568 alpha=60.00 beta=60.00 gamma=60.00
Fractional coordinates of all 4 atoms:
B 0.0000 0.0000 0.0000
B 0.2500 0.2500 0.2500
Mo 0.7500 0.7500 0.7500
Au 0.5000 0.5000 0.5000


5.
The following is a PBE-GGA calculation of a relaxed LuTeNO crystal, from the Open Quantum Materials Database.

Output
Offset from the most stable computed form ... 0.000 eV/atom

Unit cell a=3.7284 b=6.6618 c=6.2304 alpha=90.00 beta=90.00 gamma=90.00
Fractional coordinates of all 8 atoms:
Lu 0.0000 0.1673 0.0000
Lu 0.0000 0.8327 0.5000
Te 0.5000 0.3280 0.6022
Te 0.5000 0.6720 0.1022
N 0.5000 0.3451 0.9300
N 0.5000 0.6549 0.4300
O 0.0000 0.0841 0.3128
O 0.0000 0.9159 0.8128


6.
The following is a PBE-GGA calculation of a relaxed Tb2GdAl3AgPd2 crystal, from the Open Quantum Materials Database.

Unit cell a=3.9161 b=7.3994 c=7.3994 alpha=120.03 beta=90.00 gamma=90.00
Fractional coordinates of all 9 atoms:
Tb 0.0000 0.2082 0.7918
Tb 0.0000 0.7918 0.2082
Gd 0.0000 0.3756 0.3756
Al 0.5000 0.0443 0.0443
Al 0.5000 0.5394 0.7926
Al 0.5000 0.7926 0.5394
Ag 0.0000 0.7926 0.7926
Pd 0.5000 0.1244 0.4591
Pd 0.5000 0.4591 0.1244


7.
'''

TLDR: As is so common among humans, they believe that the end does indeed justify the means.

The impression I get is that Republicans believe they are actually enhancing and protecting democracy. If one believes, for instance, that people are abusing the lack of voter-ID laws to cast fraudulent votes, that dead people are voting, and that many illegal immigrants are voting illegally, then one is ***enhancing ***democracy by enforcing the rules and making sure that only legit voters get to cast legit votes.

Whether those aforementioned claims are true or not is another matter.

The claims don’t have to be true.

They just have to have an air of truthiness.

tip o the hat to Colbert

Silly question.

I’ll say this… If we were living in a parallel dimension where some sort of FDR-style Democrat is president, and he or she gave us Medicare for All, a Green New Deal, ended the drug war, ended our half dozen foreign wars, and broke up the Big Tech psychopaths destroying our civil society, I would forgive any immoral thing this hypothetical president would ever do. To paraphrase an imbecile, if they shot someone on 5th Avenue, I would still support them. They could use their office to enrich themselves and their families, and I would still support them, and enthusiasticly so.

Every president in my lifetime has had a literal kill list and blood on their hands. These are not fine, polite gentleman. Trump is abhorrent to a lot of people because he doesn’t mask his awfulness. The thing is- he also fights and gets shit done for his side. If all you care about is abortion, guns, and god, why in the world would you ever turn against Trump? He has done more for you than any other president. The courts are packed with wingnuts for a generation, and as a bonus you get to see your arch enemies, the libs, triggered on a daily basis. Trump voters are living in heaven right now. Who cares that he has used power to enrich himself or colluded with foreigners to bring down his adversaries (who you consider immoral baby killers anyway). He also use his power to give his base what they want, and that’s all that matters.

I don’t blame Republicans for sticking with their guy. In fact, it’s completely logical. They understand power and how to wield it. OTOH, what I do find pathetic is some Democrats’ delusion that this all just an abberation and surely we can all go back to a civil time of bipartisanship that never actually existed and all just get along. How sad. Republicans literally think Democrats murder babies, along with all sorts of evils. They are fed propoganda 24/7 by the highest-rated news network in America, alongside a burgeoning industry of even more radical Internet propoganda. These people hate you. Get over it and recalibrate so you can actually win elections against them, and then use the levers of power to punish them just like they do to you. They will never ever turn against their Party as long as it gives them what they want, and maybe there is a lesson to learn there.

This is one of the best write-ups on the issue, here or elsewhere. It would take an extraordinarily blind voter to vote against his or her political interests in the name of “personal character.” Yes, many Republicans are being flaming hypocrites by supporting Trump after having decried Bill Clinton’s behavior in the 1990s, but it makes no logical sense whatsoever to toss out 90% of what you like (whatever it is that you like) because of 10% that you don’t like.

Not to mention that there is a huge “emotional price” in doing so - if seeing “the other side” gloat and rejoice in your side losing feels like having a big chunk of salt rubbed into your wounds, you’ll go to almost any length to deny the other side that schadenfreude.

Trump is the left wing version of Trump. He has no political shape. No political fucks to give. No political beliefs. Just whatever vehocle he can crawl onto in order to ride it as far as it’ll take him before it runs out of gas.

Packing the courts is great for the party but it sure as hell is not what the base cares about. He’s done literally nothing for them other than talk. His one and only accomplishment fucks his base to enrich the elites.

### Attached: calculated crystals
-- begin --
Model P:
The following is a PBE calculation of a geometry-optimized ScCrCd3 structure, from the Alexandria database.

abc: 5.4988 5.4988 5.4988
angles: 90.00 90.00 90.00
Last column: nearest neighbours and their distance in Å.
Atoms (fractional coordinates):
Cd 0.5000 0.0000 0.0000  2 Sc 2.75
Cd 0.0000 0.0000 0.5000  2 Sc 2.75
Cd 0.0000 0.5000 0.0000  2 Sc 2.75
Sc 0.0000 0.0000 0.0000  6 Cd 2.75
Cr 0.5000 0.5000 0.5000  12 Cd 3.89



Model Q:
The following is a PBE calculation of a geometry-optimized ScCrCd3 structure, from the Alexandria database.

abc: 4.9708 4.9708 4.9708
angles: 90.00 90.00 90.00
Last column: nearest neighbours and their distance in Å.
Atoms (fractional coordinates):
Cd 0.0000 0.5000 0.0000  2 Cr 2.49
Cd 0.5000 0.0000 0.0000  2 Cr 2.49
Cd 0.0000 0.0000 0.5000  2 Cr 2.49
Cr 0.0000 0.0000 0.0000  6 Cd 2.49
Sc 0.5000 0.5000 0.5000  12 Cd 3.51



model Q is the most stable structure; the next one sits 24.0 kJ/mol of atoms above it.



Model P:
The following is a PBE calculation of a geometry-optimized Cr3CdSe structure, from the Alexandria database.

abc: 5.0680 5.0680 5.0680
angles: 90.00 90.00 90.00
Last column: nearest neighbours and their distance in Å.
Atoms (fractional coordinates):
Cr 0.0000 0.0000 0.5000  2 Cd 2.53
Cr 0.0000 0.5000 0.0000  2 Cd 2.53
Cr 0.5000 0.0000 0.0000  2 Cd 2.53
Se 0.5000 0.5000 0.5000  12 Cr 3.58
Cd 0.0000 0.0000 0.0000  6 Cr 2.53



Model Q:
The following is a PBE calculation of a geometry-optimized Cr3CdSe structure, from the Alexandria database.

abc: 4.4044 4.4044 4.4044
angles: 90.00 90.00 90.00
Last column: nearest neighbours and their distance in Å.
Atoms (fractional coordinates):
Cr 0.0000 0.5000 0.0000  2 Se 2.20
Cr 0.0000 0.0000 0.5000  2 Se 2.20
Cr 0.5000 0.0000 0.0000  2 Se 2.20
Cd 0.5000 0.5000 0.5000  12 Cr 3.11
Se 0.0000 0.0000 0.0000  6 Cr 2.20



model Q is the most stable structure; the next one sits 46.6 kJ/mol of atoms above it.


Material: PmSm4Pd4
Method: DFT, GGA-PBE
State: optimized geometry

Values from the calculation:
* symmetry: P4_2/n
* formation energy: -0.613 eV per atom

Unit cell a=9.107 b=9.107 c=5.937 alpha=90.00 beta=90.00 gamma=90.00
Positions (direct):
Pm 0.250 0.250 0.250
Pm 0.750 0.750 0.750
Sm 0.067 0.659 0.161
Sm 0.159 0.933 0.661
Sm 0.341 0.567 0.661
Sm 0.433 0.841 0.161
Sm 0.567 0.159 0.839
Sm 0.659 0.433 0.339
Sm 0.841 0.067 0.339
Sm 0.933 0.341 0.839
Pd 0.033 0.627 0.655
Pd 0.127 0.967 0.155
Pd 0.373 0.533 0.155
Pd 0.467 0.873 0.655
Pd 0.533 0.127 0.345
Pd 0.627 0.467 0.845
Pd 0.873 0.033 0.845
Pd 0.967 0.373 0.345


Here is a relaxed structure of MgIr2W from the Alexandria database. Energies are from PBEsol.

a b c (Å): 2.8164 3.6411 5.8095
angles (deg): 90.00 90.00 90.00
Closest atoms and distances in Å follow each position.
Positions (direct):
1 Ir 0.0000 0.0000 0.7432  4 W 2.70, 4 Mg 2.74, 4 Ir 2.82-2.98
2 Ir 0.0000 0.0000 0.2568  4 W 2.70, 4 Mg 2.74, 4 Ir 2.82-2.98
3 W 0.5000 0.5000 0.5000  8 Ir 2.70, 2 W 2.82, 2 Mg 2.90
-- stop --
### The calculated crystals stop here

Go to r/TheDonald or read through some Trump fans’ tweets on Twitter. You are in a bubble- these people are overjoyed with his performance. Roe vs Wade and Obamacare are close to dead, gun rights are untouchable for the next few decades, Christian supremacy is back in the halls of power, and uppity non-republicans have been put back in their place. What do you think the base cares about if not those things?

Your average Trump fan is not tech savvy enough to be on twitter and has never even heard of Reddit, both of those are full of either internet trolls or paid shills. Obamacare is actually popular, and nobody is actually happy with how Trump has dealt with the gun issue. The thing they care about, other than their own financial well being, is immigration. Putting kids in cages might be popular but its not what he promised.

If you can’t have a border wall, institutionalized cruelty at the border is the next best thing.

His approval numbers among Republicans hover around 90%. If Democrats want to handwave that away as some sort of Internet trolling conspiracy or just dumbasses not realizing they are being screwed over, then they really are on their way to losing once again.

An honest comparison to this would require that Trump had banned all abortions for any reason, stopped all immigration from brown countries and deported every single one living here, delegalized gay marriage and annulled all their marriage licenses, brought back every single coal mining job and revitalized every small town. You’re comparing the complete and total fulfillment of the literal perfect liberal agenda to Trump’s half assed rhetoric and vague feelings.

I think just below this attitude you describe is their not so subtle belief that when they say American democracy, they mean for white people. When they say Make America Great Again, they mean for whites like them, so they don’t see suppression of black votes as a problem, because blacks aren’t really Americans.

There’s a reason that “Profiles in Courage” was such a thin book. (Stole that line but not sure from whom. If anybody knows trot it out.)

Party politics in the USA are centered on the presidency. If you don’t like the Republican president, whoever that is, you probably aren’t a Republican voter any more.

My supervisor is a very smart guy, a conservative, and said basically that he and his wife can’t stand Trump but why would he care about the actual person in office if he is effective in pushing the conservative agenda.

/*
Computed, not measured: an optimized crystal structure of V3CoH at the PBE-GGA level of DFT.

```
V3CoH
1.0
3.7578 0.0000 0.0000
0.0000 3.7578 0.0000
0.0000 0.0000 3.7578
V Co H
3 1 1
Direct
0.0000 0.0000 0.5000
0.0000 0.5000 0.0000
0.5000 0.0000 0.0000
0.5000 0.5000 0.5000
0.0000 0.0000 0.0000
```

Values from the calculation:
- Space-group type: Pm-3m (221)
- Energy relative to the lowest polymorph listed for this composition: 0.00 eV per formula unit
- Total magnetic moment: 0.0 μB/cell
- Total energy: -37.92 eV/cell

Computed, not measured: an optimized crystal structure of ErHfZr at the PBE-GGA level of DFT.

```
ErHfZr
1.0
5.7327 0.0000 0.0000
0.0000 3.2991 0.0000
-1.8966 0.0000 7.9409
Er Hf Zr
2 2 2
Direct
0.2497 0.2500 0.0008
0.7503 0.7500 0.9992
0.4696 0.2500 0.6523
0.5304 0.7500 0.3477
0.0339 0.2500 0.3455
0.9661 0.7500 0.6545
```

Values from the calculation:
- Space-group type: P2_1/m (11)
- Formation energy from the elements: 0.09 eV/atom
- Energy relative to the lowest polymorph listed for this composition: 0.00 eV per formula unit
- Total magnetic moment: 0.0 μB/cell
- Total energy: -45.58 eV/cell

Computed, not measured: an optimized crystal structure of Li2Y2Pt3 at the PBE-GGA level of DFT.

```
Li2Y2Pt3
1.0
2.4141 1.3938 6.9790
-2.4141 1.3938 6.9790
0.0000 -2.7876 6.9790
Li Y Pt
2 2 3
Direct
0.1314 0.1314 0.1314
0.8686 0.8686 0.8686
0.3895 0.3895 0.3895
0.6105 0.6105 0.6105
0.0000 0.0000 0.0000
0.2531 0.2531 0.2531
0.7469 0.7469 0.7469
```

Values from the calculation:
- Space-group type: R-3m (166)
- Formation energy from the elements: -0.86 eV/atom
- Total magnetic moment: 0.0 μB/cell
- Total energy: -40.92 eV/cell

Computed, not measured: an optimized crystal structure of Ac2La4NdTm at the PBE-GGA level of DFT.

```
Ac2La4NdTm
1.0
5.2966 0.0000 0.0000
0.0000 5.3351 0.0000
-0.0081 0.0000 10.6823
Ac La Nd Tm
2 4 1 1
Direct
0.0000 0.0000 0.0000
0.5000 0.5000 0.5000
0.9997 0.5000 0.2516
0.0003 0.5000 0.7484
0.4994 0.0000 0.7474
0.5006 0.0000 0.2526
0.5000 0.5000 0.0000
0.0000 0.0000 0.5000
```

Values from the calculation:
- Space-group type: P2/m (10)
- Formation energy from the elements: 0.03 eV/atom
- Total magnetic moment: 0.0 μB/cell
- Total energy: -36.91 eV/cell

Computed, not measured: an optimized crystal structure of K3CuP at the PBE-GGA level of DFT.

```
K3CuP
1.0
6.2745 0.0000 0.0000
0.0000 6.2745 0.0000
0.0000 0.0000 6.2745
K Cu P
3 1 1
Direct
0.0000 0.0000 0.5000
0.0000 0.5000 0.0000
0.5000 0.0000 0.0000
0.5000 0.5000 0.5000
0.0000 0.0000 0.0000
```

Values from the calculation:
- Space-group type: Pm-3m (221)
- Formation energy from the elements: 0.27 eV/atom
- Energy relative to the lowest polymorph listed for this composition: 0.00 eV per formula unit
- Total magnetic moment: 1.0 μB/cell
- Total energy: -11.43 eV/cell

Computed, not measured: an optimized crystal structure of RbCoAs2 at the PBE-GGA level of DFT.

```
RbCoAs2
1.0
3.9043 0.0000 0.0000
-1.9522 3.3812 0.0000
0.0000 0.0000 20.8531
Rb Co As
3 3 6
*/

While I kind of understand that line of thinking, I don’t think I’d give up the collective trust in our system to get universal health care, for instance. It’s just not worth it.

And then I think, what the hell is the equivalent for right-wingers on your paragraph above? Less taxes for the rich? Let private industry take over Medicare and Medicaid? Privatise social security? Mandate school prayer to Jesus? Allow us to shoot anyone trying to cross our border (from Mexico, not Canada) illegally?

It’s hard to imagine someone rising to the ranks of the US Senate that genuinely supports these ideas, so, at some point we lefties think there has to be some red line, some breaking point for them. But that isn’t happening and it’s baffling.

Is that a thing?